1. Which statement best matches your relationship with Educational Technology?
*I have it working right now, so don't touch anything.
*Blogs, RSS, Web 2.0, Wiki - that's what I do before school starts.
*My VCR still flashes "12:00," but it works just fine.
There you go- that was the only question, those were the only answers.
[Here the piece breaks off for crystal structures]
____________
No. 1
DFT (PBE-GGA) results for a relaxed Na2MgAgIr crystal.

abc: 5.3878 4.9483 5.3878
angles: 90.00 90.00 90.00
Positions (direct):
Na1 0.0000 0.0000 0.5000
Ag1 0.5000 0.5000 0.5000
Na2 0.5000 0.0000 0.0000
Ir1 0.0000 0.0000 0.0000
Mg1 0.0000 0.5000 0.0000

Output
- VASP energy (eV/atom) = -2.576

***

No. 2
DFT (PBE-GGA) results for a relaxed Nd3Y5Tm3 crystal.

abc: 3.4587 11.1975 11.1975
angles: 120.00 90.00 90.00
Positions (direct):
Tm1 0.5000 0.1576 0.1576
Y1 0.5000 0.3384 0.0000
Y2 0.5000 0.6667 0.3333
Y3 0.5000 0.3333 0.6667
Nd1 0.0000 0.4008 0.4008
Y4 0.5000 0.6616 0.6616
Tm2 0.5000 0.0000 0.8424
Y5 0.5000 0.0000 0.3384
Nd2 0.0000 0.0000 0.5992
Nd3 0.0000 0.5992 0.0000
Tm3 0.5000 0.8424 0.0000

Output
- VASP energy (eV/atom) = -5.102
- distance to the lowest polymorph of the same formula (meV per atom) = 15

***

No. 3
DFT (PBE-GGA) results for a relaxed Tl2AgMoRu crystal.

abc: 5.2879 5.1139 5.2879
angles: 90.00 90.00 90.00
Last column: magnetic moment on the atom in μB.
Positions (direct):
Ru1 0.5000 0.5000 0.5000  2.44
Mo1 0.0000 0.0000 0.0000  1.34
Ag1 0.0000 0.5000 0.0000  0.09
Tl1 0.0000 0.0000 0.5000  0.01
Tl2 0.5000 0.0000 0.0000  0.00

Output
- VASP energy (eV/atom) = -3.772

=====

First-principles (PBE) data for a relaxed ZrRe2RuBr crystal, as listed in Alexandria via LeMat-Bulk.

a = 4.8550 Å, b = 4.8550 Å, c = 5.0458 Å
α = 90.00°, β = 90.00°, γ = 90.00°
Last column: nearest neighbours and their distance in Å.
Space group P4/mmm (No. 123)
Symmetry-distinct sites (fractional):
1 Zr 0.0000 0.0000 0.0000 [1 per cell]  4 Re 2.43, 2 Br 2.52
2 Re 0.0000 0.5000 0.0000 [2 per cell]  2 Zr 2.43
3 Ru 0.5000 0.5000 0.5000 [1 per cell]  4 Br 3.43, 8 Re 3.50
4 Br 0.0000 0.0000 0.5000 [1 per cell]  2 Zr 2.52

Output
- Crystal system: tetragonal
- Raw total energy: -6.4202 eV per atom

=====

The following is a DFT calculation (GGA-PBE) of ScCoTcPb after structural relaxation. Values from VASP.

Results
Energy relative to the lowest polymorph listed for this composition ... 0.214 eV per atom
Theoretical density ... 9.70 g/cm³

Structure (Quantum ESPRESSO input):
```
&SYSTEM
  ibrav = 0, nat = 16, ntyp = 4
/
ATOMIC_SPECIES
Sc 44.96 Sc.upf
Co 58.93 Co.upf
Tc 98.00 Tc.upf
Pb 207.20 Pb.upf
CELL_PARAMETERS angstrom
6.543 0.000 0.000
0.000 6.543 0.000
0.000 0.000 6.543
ATOMIC_POSITIONS angstrom
Sc 0.000 0.000 0.000
Sc 0.000 3.272 3.272
Sc 3.272 0.000 3.272
Sc 3.272 3.272 0.000
Co 0.000 0.000 3.272
Co 0.000 3.272 0.000
Co 3.272 0.000 0.000
Co 3.272 3.272 3.272
Tc 1.636 1.636 4.908
Tc 1.636 4.908 1.636
Tc 4.908 1.636 1.636
Tc 4.908 4.908 4.908
Pb 1.636 1.636 1.636
Pb 1.636 4.908 4.908
Pb 4.908 1.636 4.908
Pb 4.908 4.908 1.636
```

***

The following is a DFT calculation (GGA-PBE) of AcInAg after structural relaxation. Values from VASP.

Results
Energy relative to the lowest polymorph listed for this composition ... 0.000 eV per atom
Theoretical density ... 8.58 g/cm³

Structure (Quantum ESPRESSO input):
```
&SYSTEM
  ibrav = 0, nat = 3, ntyp = 3
/
____________
[Back to the piece]
When I'm teaching, I'll often have kids ask me "Can I go to the bathroom?"
My answer is usually along the lines of "I don't know. Can you?" Then in response to their confused expressions I tell them "You have to ask the right question to get the right answer."
Granted, there's a big difference between a 3rd grader who doesn't know the difference between "can" and "may" and Discovery Education - but in both cases I don't think they've asked the right question. Or, more accurately, I don't think they've provided the right answers.

But I've gone beyond that. I do have students using wikis, blogs, and all kinds of cool stuff in the classroom. When new ideas come out, I want to hear about them and try them out. I'm not saying this to pump up my already over-inflated ego, because I know there are others like me who are pulling it off even better than I ever could. (I'm looking at you, Mr. Eric Langhorst! Let us know how those new iRivers work out.)
So you see, my problem with the survey question is that there's no answer I can pick that fits what I do with technology, and I know a lot of people who are in the same boat.
Maybe I'm not Discovery Education Streaming's target audience, I don't know.
I wouldn't think this was worth a whole blog post, especially one as long as this one's becoming, if I wasn't seeing this all the time in education. I've had more than one employer over the years, and in most cases they were more than happy to get you up to a level that allowed you to copy, paste, and find Microsoft Office on your hard drive. "Advanced" classes showed you how to input pictures into a word document. (I actually attended one of those, and will speak no more about it other than that the presenter asked me how to open PowerPoint.)
And true, a lot of digital immigrants need classes like that - but that's just the starting point and if we don't go on then our students will surpass us in the "how-tos" without ever learning the "whys" or "shoulds."

It won't matter if our VCRs are flashing 12:00, our current tech is working, or we love to use blogs, wikis, rss, and more outside (and inside!) the classroom.
Every single one of us at that conference will be there because we want to do more.